Your job: return the whole of the block below character by character.

- - -
Entry 1:
50
Properties=species:S:1:pos:R:3:mulliken_charge:R:1 method="wB97M-V/def2-TZVPD" charge=+2
Pd 0.153 0.325 -2.055 0.805
O 2.306 1.986 -0.054 -0.326
S 2.134 2.018 -1.648 1.180
O 3.040 2.981 -2.115 -0.507
O 2.287 0.602 -2.086 -0.619
O 0.679 2.305 -1.867 -0.530
N -2.347 -1.669 -2.278 -0.170
C -2.669 -0.384 -2.683 0.798
C -3.969 -0.108 -3.105 -0.729
C -4.296 1.171 -3.487 -0.367
C -3.325 2.167 -3.459 -0.759
C -2.064 1.835 -3.034 -0.489
N -1.745 0.580 -2.640 -0.275
C -1.140 -2.324 -2.425 0.843
C -1.139 -3.708 -2.616 -0.765
C 0.061 -4.370 -2.728 -0.383
C 1.250 -3.651 -2.656 -0.812
C 1.181 -2.295 -2.468 -0.452
N 0.003 -1.644 -2.338 -0.107
H -3.139 -2.294 -2.290 0.241
H -4.701 -0.904 -3.141 0.353
H -5.301 1.393 -3.821 0.430
H -3.539 3.180 -3.765 0.447
H -1.264 2.560 -2.989 0.647
H -2.079 -4.236 -2.693 0.353
H 0.075 -5.440 -2.888 0.434
H 2.212 -4.129 -2.759 0.458
H 2.066 -1.673 -2.421 0.648
C 1.922 -0.291 4.245 -0.757
N 0.411 -0.247 4.060 0.301
C -0.140 1.175 4.099 -0.797
N 0.643 2.069 3.337 0.192
C 2.040 2.016 3.737 -1.001
N 2.582 0.695 3.479 0.182
C 2.803 0.432 2.063 -1.046
P 1.433 0.859 0.847 1.150
C -0.311 -1.276 3.927 -0.024
C 0.462 2.088 1.889 -1.038
H 2.249 -1.300 3.996 0.381
H 2.071 -0.100 5.311 0.332
H -0.109 1.447 5.156 0.332
H -1.172 1.127 3.753 0.379
H 2.124 2.241 4.802 0.317
H 2.609 2.760 3.181 0.392
H 3.079 -0.613 1.923 0.421
H 3.659 1.030 1.740 0.458
H 0.142 -2.262 3.936 0.274
H -1.388 -1.173 3.842 0.273
H -0.598 1.976 1.657 0.462
H 0.762 3.075 1.527 0.471


Entry 2:
12
Properties=species:S:1:pos:R:3:mulliken_charge:R:1 method="wB97M-V/def2-TZVPD" smiles="[H]/N=C/N(O)/C(C#N)=N/[H]"
H -1.357 -0.881 2.763 0.300
N -0.767 -0.917 1.842 -0.458
C -0.859 0.205 1.358 -0.002
N -0.575 0.519 -0.180 0.027
O -0.581 1.773 -0.326 -0.425
C 0.563 -0.127 -0.844 0.603
C 0.889 -1.467 -0.682 0.171
N 1.118 -2.632 -0.631 -0.395
N 1.328 0.589 -1.701 -0.718
H 1.776 -0.109 -2.207 0.258
H -1.151 1.242 1.946 0.264
H -0.384 1.806 -1.338 0.378


Entry 3:
67
Properties=species:S:1:pos:R:3:mulliken_charge:R:1 method="wB97M-V/def2-TZVPD" charge=-1
C -1.718 5.985 4.168 -1.039
C -0.957 5.085 3.148 0.576
O 0.078 5.516 2.720 -0.526
N -1.511 3.801 2.728 0.139
C -1.535 3.850 1.243 -1.003
C -0.623 2.692 3.144 -0.808
C -0.924 2.131 4.566 -0.680
C -2.299 1.396 4.727 -0.843
C -2.744 0.501 3.527 -0.756
C -2.197 -0.983 3.557 0.601
N -0.982 -1.179 4.369 -0.197
C 0.254 -0.907 3.632 -0.343
C 0.557 -1.879 2.426 0.513
C 0.354 -1.067 1.090 -1.078
O 1.947 -2.293 2.378 -0.574
C -3.347 -1.860 4.198 0.051
O -4.200 -2.440 3.506 -0.762
O -3.408 -1.928 5.479 -0.756
H -2.370 6.728 3.646 0.288
H -1.006 6.592 4.775 0.312
H -2.327 5.338 4.835 0.276
H -1.956 2.920 0.804 0.308
H -2.170 4.692 0.871 0.310
H -0.518 3.988 0.801 0.378
H -0.610 1.855 2.406 0.468
H 0.433 3.081 3.164 0.339
H -0.964 3.024 5.251 0.424
H -0.087 1.510 4.967 0.399
H -3.142 2.081 4.989 0.379
H -2.194 0.719 5.613 0.400
H -3.858 0.420 3.594 0.448
H -2.534 0.924 2.517 0.218
H -2.116 -1.336 2.501 -0.032
H -1.021 -2.157 4.665 0.344
H 1.101 -1.037 4.363 0.426
H 0.329 0.131 3.250 -0.499
H -0.037 -2.822 2.442 0.201
H -0.685 -0.699 0.964 0.253
H 0.722 -1.688 0.246 0.272
H 1.002 -0.164 1.195 0.225
H 2.220 -2.522 3.279 0.339
O 1.209 -1.524 -2.892 -0.705
P 2.093 -2.040 -4.012 1.228
O 1.973 -0.694 -4.974 -0.313
C 2.778 0.433 -4.636 -0.368
C 4.256 0.173 -4.871 -0.977
O 0.919 -2.995 -4.679 -0.416
C -0.218 -3.425 -3.931 -0.332
C -1.379 -2.463 -4.101 -1.100
O 3.206 -2.694 -5.088 -0.427
C 2.854 -3.329 -6.320 -0.209
C 2.092 -2.470 -7.308 -0.921
H 2.596 0.718 -3.596 0.295
H 2.448 1.259 -5.269 0.307
H 4.635 -0.596 -4.191 0.295
H 4.838 1.083 -4.706 0.397
H 4.432 -0.179 -5.888 0.199
H 0.038 -3.568 -2.881 0.327
H -0.504 -4.408 -4.316 0.320
H -1.081 -1.424 -3.957 0.281
H -2.181 -2.697 -3.399 0.371
H -1.778 -2.533 -5.116 0.317
H 2.327 -4.262 -6.118 0.256
H 3.803 -3.615 -6.783 0.360
H 1.106 -2.183 -6.946 0.214
H 1.947 -3.019 -8.242 0.392
H 2.635 -1.548 -7.524 0.219


Entry 4:
12
- - -

Entry 1:
50
Properties=species:S:1:pos:R:3:mulliken_charge:R:1 method="wB97M-V/def2-TZVPD" charge=+2
Pd 0.153 0.325 -2.055 0.805
O 2.306 1.986 -0.054 -0.326
S 2.134 2.018 -1.648 1.180
O 3.040 2.981 -2.115 -0.507
O 2.287 0.602 -2.086 -0.619
O 0.679 2.305 -1.867 -0.530
N -2.347 -1.669 -2.278 -0.170
C -2.669 -0.384 -2.683 0.798
C -3.969 -0.108 -3.105 -0.729
C -4.296 1.171 -3.487 -0.367
C -3.325 2.167 -3.459 -0.759
C -2.064 1.835 -3.034 -0.489
N -1.745 0.580 -2.640 -0.275
C -1.140 -2.324 -2.425 0.843
C -1.139 -3.708 -2.616 -0.765
C 0.061 -4.370 -2.728 -0.383
C 1.250 -3.651 -2.656 -0.812
C 1.181 -2.295 -2.468 -0.452
N 0.003 -1.644 -2.338 -0.107
H -3.139 -2.294 -2.290 0.241
H -4.701 -0.904 -3.141 0.353
H -5.301 1.393 -3.821 0.430
H -3.539 3.180 -3.765 0.447
H -1.264 2.560 -2.989 0.647
H -2.079 -4.236 -2.693 0.353
H 0.075 -5.440 -2.888 0.434
H 2.212 -4.129 -2.759 0.458
H 2.066 -1.673 -2.421 0.648
C 1.922 -0.291 4.245 -0.757
N 0.411 -0.247 4.060 0.301
C -0.140 1.175 4.099 -0.797
N 0.643 2.069 3.337 0.192
C 2.040 2.016 3.737 -1.001
N 2.582 0.695 3.479 0.182
C 2.803 0.432 2.063 -1.046
P 1.433 0.859 0.847 1.150
C -0.311 -1.276 3.927 -0.024
C 0.462 2.088 1.889 -1.038
H 2.249 -1.300 3.996 0.381
H 2.071 -0.100 5.311 0.332
H -0.109 1.447 5.156 0.332
H -1.172 1.127 3.753 0.379
H 2.124 2.241 4.802 0.317
H 2.609 2.760 3.181 0.392
H 3.079 -0.613 1.923 0.421
H 3.659 1.030 1.740 0.458
H 0.142 -2.262 3.936 0.274
H -1.388 -1.173 3.842 0.273
H -0.598 1.976 1.657 0.462
H 0.762 3.075 1.527 0.471


Entry 2:
12
Properties=species:S:1:pos:R:3:mulliken_charge:R:1 method="wB97M-V/def2-TZVPD" smiles="[H]/N=C/N(O)/C(C#N)=N/[H]"
H -1.357 -0.881 2.763 0.300
N -0.767 -0.917 1.842 -0.458
C -0.859 0.205 1.358 -0.002
N -0.575 0.519 -0.180 0.027
O -0.581 1.773 -0.326 -0.425
C 0.563 -0.127 -0.844 0.603
C 0.889 -1.467 -0.682 0.171
N 1.118 -2.632 -0.631 -0.395
N 1.328 0.589 -1.701 -0.718
H 1.776 -0.109 -2.207 0.258
H -1.151 1.242 1.946 0.264
H -0.384 1.806 -1.338 0.378


Entry 3:
67
Properties=species:S:1:pos:R:3:mulliken_charge:R:1 method="wB97M-V/def2-TZVPD" charge=-1
C -1.718 5.985 4.168 -1.039
C -0.957 5.085 3.148 0.576
O 0.078 5.516 2.720 -0.526
N -1.511 3.801 2.728 0.139
C -1.535 3.850 1.243 -1.003
C -0.623 2.692 3.144 -0.808
C -0.924 2.131 4.566 -0.680
C -2.299 1.396 4.727 -0.843
C -2.744 0.501 3.527 -0.756
C -2.197 -0.983 3.557 0.601
N -0.982 -1.179 4.369 -0.197
C 0.254 -0.907 3.632 -0.343
C 0.557 -1.879 2.426 0.513
C 0.354 -1.067 1.090 -1.078
O 1.947 -2.293 2.378 -0.574
C -3.347 -1.860 4.198 0.051
O -4.200 -2.440 3.506 -0.762
O -3.408 -1.928 5.479 -0.756
H -2.370 6.728 3.646 0.288
H -1.006 6.592 4.775 0.312
H -2.327 5.338 4.835 0.276
H -1.956 2.920 0.804 0.308
H -2.170 4.692 0.871 0.310
H -0.518 3.988 0.801 0.378
H -0.610 1.855 2.406 0.468
H 0.433 3.081 3.164 0.339
H -0.964 3.024 5.251 0.424
H -0.087 1.510 4.967 0.399
H -3.142 2.081 4.989 0.379
H -2.194 0.719 5.613 0.400
H -3.858 0.420 3.594 0.448
H -2.534 0.924 2.517 0.218
H -2.116 -1.336 2.501 -0.032
H -1.021 -2.157 4.665 0.344
H 1.101 -1.037 4.363 0.426
H 0.329 0.131 3.250 -0.499
H -0.037 -2.822 2.442 0.201
H -0.685 -0.699 0.964 0.253
H 0.722 -1.688 0.246 0.272
H 1.002 -0.164 1.195 0.225
H 2.220 -2.522 3.279 0.339
O 1.209 -1.524 -2.892 -0.705
P 2.093 -2.040 -4.012 1.228
O 1.973 -0.694 -4.974 -0.313
C 2.778 0.433 -4.636 -0.368
C 4.256 0.173 -4.871 -0.977
O 0.919 -2.995 -4.679 -0.416
C -0.218 -3.425 -3.931 -0.332
C -1.379 -2.463 -4.101 -1.100
O 3.206 -2.694 -5.088 -0.427
C 2.854 -3.329 -6.320 -0.209
C 2.092 -2.470 -7.308 -0.921
H 2.596 0.718 -3.596 0.295
H 2.448 1.259 -5.269 0.307
H 4.635 -0.596 -4.191 0.295
H 4.838 1.083 -4.706 0.397
H 4.432 -0.179 -5.888 0.199
H 0.038 -3.568 -2.881 0.327
H -0.504 -4.408 -4.316 0.320
H -1.081 -1.424 -3.957 0.281
H -2.181 -2.697 -3.399 0.371
H -1.778 -2.533 -5.116 0.317
H 2.327 -4.262 -6.118 0.256
H 3.803 -3.615 -6.783 0.360
H 1.106 -2.183 -6.946 0.214
H 1.947 -3.019 -8.242 0.392
H 2.635 -1.548 -7.524 0.219


Entry 4:
12